The Incredible Case of Jonathan Pollard

David Kirshenbaum, Esq. - The Jerusalem Post - August 4, 2000

Many hopes were shattered by the failure of the Camp David summit. One of those was the report that Jonathan Pollard might be released in the context of a comprehensive settlement.

Rumors of a like nature have been floated over the years at different stages of the Oslo process, always, of course, turning out to be ephemeral. As an example, several participants at the Wye talks support the assertion of former prime minister Binyamin Netanyahu that President Clinton reneged on a promise to free Pollard as part of the Wye accords. But beyond the dose of skepticism with which many Pollard supporters viewed the rumors at Camp David, the implications of those reports were most troubling.

It seemed that if Pollard were to be freed, the release would have to be linked, not simply to yet another Israeli territorial withdrawal and another interim agreement, but to Israel satisfying every Palestinian demand in connection with a final settlement.

Regardless of whether the Camp David talks can be resuscitated during the last few months of the Clinton administration, the time is long overdue for him to free Pollard.

### Materials data, kept here for reference
~~~
(1)
# Na3TbO3
Simulated powder diffraction line list, a wavelength of 1.5418 Å. Input: DFT lattice parameters and positions (PBE).

Main lines, by angle (10° ≤ 2θ ≤ 90°):
| 2θ (°) | intensity |
| --- | --- |
| 15.48 | 100.0 |
| 17.86 | 36.8 |
| 30.64 | 31.8 |
| 31.25 | 28.2 |
| 31.96 | 24.7 |
| 36.89 | 46.8 |

Cell and atoms:
Cell lengths 6.781, 7.006, 9.933 Å; angles 90.00, 90.00, 90.00 degrees
Space group Imma (No. 74)
Inequivalent atoms, fractional coordinates:
Na 0.000 0.250 0.223 x4
Na 0.218 0.000 0.000 x8
Tb 0.000 0.250 0.779 x4
O 0.000 0.250 0.991 x4
O 0.250 0.030 0.750 x8


(2)
# Na2TbO3
Simulated powder diffraction line list, a wavelength of 1.5418 Å. Input: DFT lattice parameters and positions (PBE).

Main lines, by angle (10° ≤ 2θ ≤ 90°):
| 2θ (°) | intensity |
| --- | --- |
| 15.89 | 100.0 |
| 30.35 | 53.5 |
| 31.76 | 69.6 |
| 36.89 | 80.2 |
| 37.03 | 39.8 |
| 53.00 | 40.6 |

Cell and atoms:
Cell lengths 5.978, 10.377, 11.339 Å; angles 90.00, 100.34, 90.00 degrees
Space group C2/c (No. 15)
Inequivalent atoms, fractional coordinates:
Na 0.000 0.085 0.250 x4
Na 0.239 0.080 0.000 x8
Na 0.250 0.250 0.500 x4
Tb 0.000 0.248 0.750 x4
Tb 0.000 0.418 0.250 x4
O 0.099 0.415 0.639 x8
O 0.143 0.096 0.636 x8
O 0.143 0.267 0.139 x8


(3)
# Na5TbO6
Simulated powder diffraction line list, a wavelength of 1.5418 Å. Input: DFT lattice parameters and positions (PBE).

Main lines, by angle (10° ≤ 2θ ≤ 90°):
| 2θ (°) | intensity |
| --- | --- |
| 16.07 | 37.9 |
| 17.38 | 43.6 |
| 18.94 | 39.3 |
| 31.89 | 34.8 |
| 37.16 | 100.0 |
| 53.95 | 30.4 |

Cell and atoms:
Cell lengths 5.959, 10.351, 11.206 Å; angles 90.00, 100.22, 90.00 degrees
Space group C2/c (No. 15)
Inequivalent atoms, fractional coordinates:
Na 0.000 0.083 0.250 x4
Na 0.000 0.250 0.750 x4
Na 0.235 0.089 0.000 x8
Na 0.250 0.250 0.500 x4
Tb 0.000 0.414 0.250 x4
O 0.114 0.430 0.634 x8
O 0.116 0.262 0.131 x8
O 0.151 0.083 0.631 x8

=====

Entry 1:
Calculated powder diffraction line list
Compound: TmVO4
Radiation: Cu Kα
Structure: DFT lattice parameters and positions (GGA+U)
Peak positions follow from Bragg's law for the DFT cell and can differ from measured ones.

Principal peaks in the range 2θ from 10° to 80°, by angle:
| 2θ/deg | I/Imax |
| --- | --- |
| 18.8 | 47 |
| 25.0 | 100 |
| 31.5 | 16 |
| 33.6 | 73 |
| 35.7 | 22 |
| 49.8 | 60 |
| 51.3 | 16 |
| 62.7 | 17 |

Atomic structure:
```
12
Lattice="-3.5606 3.5606 3.1508 3.5606 -3.5606 3.1508 3.5606 3.5606 -3.1508" Properties=species:S:1:pos:R:3 pbc="T T T"
Tm 3.5606 1.7803 0.7877
Tm 0.0000 1.7803 2.3631
V 3.5606 -1.7803 2.3631
V 0.0000 5.3408 0.7877
O 3.5606 -0.4508 1.2426
O 3.5606 3.1098 -1.2426
O 1.3295 1.7803 0.3328
O 2.2310 -1.7803 3.4836
O 1.3295 5.3408 -0.3328
O 2.2310 1.7803 2.8180
O 0.0000 0.4508 4.3934
O 0.0000 4.0113 1.9082
```



Entry 2:
Calculated powder diffraction line list
Compound: Li10Fe3Sb7O24
Radiation: Cu Kα
Structure: DFT lattice parameters and positions (GGA+U)
~~~
### End of the materials data

It behooves Clinton to do so, not for reasons of realpolitik, but because it is the just thing to do.

Data records, kept here for reference =
-- begin --
This entry pairs a crystal structure of Ba2TmAlTe5 with its computed X-ray diffraction stick pattern. Radiation: a wavelength of 1.5418 Å. Structure: the PBE geometry in Alexandria.
No peak broadening, texture or thermal motion is included.

Cell and atoms:
```
data_Ba2TmAlTe5
_chemical_formula_sum 'Ba8 Tm4 Al4 Te20'
_space_group_name_H-M_alt 'C m c 21'
_space_group_IT_number 36
_cell_length_a 4.486
_cell_length_b 20.532
_cell_length_c 14.282
_cell_angle_alpha 90.00
_cell_angle_beta 90.00
_cell_angle_gamma 90.00
loop_
_space_group_symop_operation_xyz
'x,y,z'
'-x,-y,z+1/2'
'-x,y,z'
'x,-y,z+1/2'
'x+1/2,y+1/2,z'
'-x+1/2,-y+1/2,z+1/2'
'-x+1/2,y+1/2,z'
'x+1/2,-y+1/2,z+1/2'
loop_
_atom_site_label
_atom_site_type_symbol
_atom_site_fract_x
_atom_site_fract_y
_atom_site_fract_z
Ba1 Ba 0.000 0.122 0.000
Ba2 Ba 0.000 0.125 0.636
Tm1 Tm 0.000 0.205 0.340
Al1 Al 0.000 0.436 0.743
Te1 Te 0.000 0.049 0.350
Te2 Te 0.000 0.295 0.982
Te3 Te 0.000 0.311 0.687
Te4 Te 0.000 0.350 0.320
Te5 Te 0.000 0.498 0.585
```

Top 10 peaks for 10 to 90 degrees two-theta, sorted by position:
2θ/deg, Rel. int., index
26.80, 58, 0 6 1
27.66, 100, 1 1 3
29.49, 13, 1 5 0
32.10, 34, 1 5 2
37.21, 12, 0 8 2
38.80, 18, 0 2 6
40.20, 23, 2 0 0
44.80, 23, 1 7 4
48.96, 22, 2 6 1
65.62, 13, 3 1 3

=====

The following is a computed powder diffraction line list of Ti2NiRh5. It was derived from a structure optimized by DFT (GGA-PBE), using Cu Kα, 1.54184 Å.

Top 10 peaks for 10° ≤ 2θ ≤ 90°, in order of falling intensity:
40.88°, I = 100, (0 4 1); 47.70°, I = 31, (2 4 0); 69.42°, I = 19, (2 4 2); 47.27°, I = 17, (0 0 2); 83.50°, I = 12, (0 4 3); 84.20°, I = 11, (2 8 1); 84.08°, I = 10, (4 4 1); 23.33°, I = 6, (1 2 0); 33.08°, I = 5, (1 2 1); 88.67°, I = 5, (0 8 2)

Cell: 5.398 10.774 3.846 Å, 90.00 90.00 90.00°
Fractional positions:
Ti1 0.239 0.126 0.000
Ti2 0.261 0.626 0.000
Ti3 0.739 0.374 0.000
Ti4 0.761 0.874 0.000
Ni1 0.000 0.500 0.500
Ni2 0.500 0.000 0.500
Rh1 0.000 0.000 0.500
Rh2 0.017 0.748 0.500
Rh3 0.232 0.379 0.000
Rh4 0.268 0.879 0.000
Rh5 0.483 0.248 0.500
Rh6 0.500 0.500 0.500
Rh7 0.517 0.752 0.500
Rh8 0.732 0.121 0.000
Rh9 0.768 0.621 0.000
Rh10 0.983 0.252 0.500

=====

1.
Computed X-ray diffraction stick pattern of Ac8Os3PdCl4 for λ = 1.5418 Å (Cu Kα), from a DFT-relaxed cell (PBE, Alexandria).
Peak positions follow from Bragg's law for the DFT cell and can differ from measured ones.

```
data_Ac8Os3PdCl4
_chemical_formula_sum 'Ac16 Os6 Pd2 Cl8'
_symmetry_space_group_name_H-M 'C 1 2/m 1'
_symmetry_Int_Tables_number 12
_cell_length_a 15.015
_cell_length_b 8.670
_cell_length_c 9.411
_cell_angle_alpha 90.00
_cell_angle_beta 122.17
_cell_angle_gamma 90.00
loop_
_symmetry_equiv_pos_as_xyz
'x,y,z'
'-x,-y,-z'
'-x,y,-z'
'x,-y,z'
'x+1/2,y+1/2,z'
'-x+1/2,-y+1/2,-z'
'-x+1/2,y+1/2,-z'
'x+1/2,-y+1/2,z'
loop_
_atom_site_label
_atom_site_fract_x
_atom_site_fract_y
_atom_site_fract_z
Ac1 0.018 0.241 0.296
Ac2 0.235 0.000 0.704
Ac3 0.241 0.500 0.704
Os1 0.000 0.000 0.500
Os2 0.250 0.250 0.500
-- stop --

It is a sorry truth that the American government's conduct in the Pollard case and its posture towards Israel as a consequence thereof is distinguished by broken promises, double standards and bad faith. The oft-cited "fundamental miscarriage of justice" is not a creation of paranoid American Jews who see antisemitism where it does not exist. That severe indictment of US misconduct in the Pollard affair was issued by Judge Stephen Williams, a conservative judge on the US Court of Appeals panel that heard the appeal of Pollard's life sentence.

Reverend Benjamin Hooks was equally harsh. In a 1993 letter to Clinton, he wrote, "As a lawyer and a minister, as well as a former judge and CEO of the NAACP, I have rarely encountered a case in which government arbitrariness was so clear cut and inexcusable."

The fact is that Pollard has been singled out from all other Americans who spied for non-adversaries. He is the only such spy for a non-adversary to have received a life sentence, and his brutal and draconian treatment can only be compared with the punishments meted out to the most notorious spies for US adversaries.There have been numerous other cases where individuals were caught spying for US allies. None of these cases caused a crisis in relations or a bitter, unforgiving grudge among the American intelligence community toward the offending country. Rather, these cases were dealt with without any fanfare, with sentences in the two-to-five-year range.

In marked contrast, in the Pollard case, there is a very obvious but rarely stated feeling among many circles in the US that, given the prominent role of Jews in government, an example has to be made of Pollard. Thus, it is frighteningly apparent that US intelligence and government officials still opposed to Pollard's release are not only hell bent on exacting a pound of flesh, but also on sending a blunt warning to American Jews, and particularly to Jews who work in government.

┌──
Computed XRD peak list
Compound: LiV2P3O12
Radiation: Cu Kα
Structure: a crystal structure in the Materials Project, relaxed with PBE+U
Intensities are scaled so that the largest is 100.

```
data_LiV2P3O12
_chemical_formula_sum 'Li2 V4 P6 O24'
_space_group_name_H-M_alt 'P 1'
_space_group_IT_number 1
_space_group_name_Hall 'P 1'
_cell_length_a 8.5994
_cell_length_b 8.5994
_cell_length_c 8.5491
_cell_angle_alpha 119.57
_cell_angle_beta 119.57
_cell_angle_gamma 59.99
loop_
_atom_site_label
_atom_site_fract_x
_atom_site_fract_y
_atom_site_fract_z
Li1 0.2077 0.7923 0.5000
Li2 0.7923 0.2077 0.0000
V1 0.1350 0.6299 0.0643
V2 0.4153 0.9148 0.9104
V3 0.6299 0.1350 0.5643
V4 0.9148 0.4153 0.4104
P1 0.0217 0.2361 0.7385
P2 0.2361 0.0217 0.2385
P3 0.3080 0.5241 0.7308
P4 0.5241 0.3080 0.2308
P5 0.7368 0.8113 0.7403
P6 0.8113 0.7368 0.2403
O1 0.0037 0.7200 0.2499
O2 0.0426 0.1872 0.2278
O3 0.0732 0.3977 0.9202
O4 0.1457 0.4728 0.5489
O5 0.1872 0.0426 0.7278
O6 0.2136 0.8540 0.2372
O7 0.2750 0.5724 0.9127
O8 0.2766 0.9721 0.0579
O9 0.3240 0.6938 0.7272
O10 0.3549 0.4981 0.2310
O11 0.3977 0.0732 0.4202
O12 0.4728 0.1457 0.0489
O13 0.4981 0.3549 0.7310
O14 0.5480 0.8330 0.7430
O15 0.5724 0.2750 0.4127
O16 0.6497 0.7683 0.0584
O17 0.6938 0.3240 0.2272
O18 0.7200 0.0037 0.7499
O19 0.7683 0.6497 0.5584
O20 0.7731 0.9026 0.4219
O21 0.8330 0.5480 0.2430
O22 0.8540 0.2136 0.7372
O23 0.9026 0.7731 0.9219
O24 0.9721 0.2766 0.5579
```

The 8 most intense peaks (2θ from 10° to 90°), sorted by position:
Position (°2θ)	I_rel
14.61	26.9
20.62	100.0
20.78	30.3
24.14	64.4
24.27	63.2
24.40	64.8
29.47	41.3
36.18	32.3

~~~~~

# PaCrGa2O8
Simulated XRD peak list, Cu Kα (λ = 1.5418 Å). Input: a DFT-relaxed cell (GGA+U, Alexandria).
Neutral-atom scattering factors, no anomalous dispersion.

Cell and atoms:
```
data_PaCrGa2O8
_space_group_name_H-M_alt 'I -4 m 2'
_space_group_IT_number 119
_space_group_name_Hall 'I -4 -2'
_cell_length_a 6.6024
_cell_length_b 6.6024
_cell_length_c 6.8197
_cell_angle_alpha 90.00
_cell_angle_beta 90.00
_cell_angle_gamma 90.00
loop_
_atom_site_label
_atom_site_fract_x
_atom_site_fract_y
_atom_site_fract_z
_atom_site_occupancy
Pa1 0.0000 0.0000 0.0000 1
Cr1 0.0000 0.5000 0.7500 1
Ga1 0.0000 0.0000 0.5000 1
Ga2 0.0000 0.5000 0.2500 1
O1 0.0000 0.2034 0.6971 1
O2 0.0000 0.3138 0.0541 1
```

Principal peaks in the range 10° ≤ 2θ ≤ 90°, in order of falling intensity:
2θ/deg, I_rel, hkl
27.01, 100, 2 0 0
32.52, 96, 1 1 2
51.31, 70, 3 1 2
18.71, 59, 1 0 1
19.01, 30, 1 1 0
33.06, 21, 2 1 1
38.57, 21, 2 2 0
65.99, 20, 3 3 2
61.18, 19, 2 0 4
55.69, 16, 4 0 0

~~~~~

# 1
Starting from a DFT-relaxed cell (PBE, Alexandria), the X-ray diffraction stick pattern of PrCd11Ge was calculated for Cu Kα (λ = 1.5418 Å).
Intensities are scaled so that the largest is 100.

Crystal structure
Cell lengths 5.996, 14.261, 7.588 Å; angles 90.00, 112.99, 90.00 degrees
Space group C2/m (No. 12)
Symmetry-distinct sites (fractional):
Pr1 0.000 0.000 0.000
Cd1 0.000 0.500 0.500
└──

The rabid opposition, even after 15 years, of many in the intelligence community to lightening the life term that the government promised in writing not to seek in the first place, raises the selective targeting of the American Jewish community to an extreme and frightening level.

When statements are issued to the effect that Pollard can't be released even after 15 years because it will weaken deterrence, what is really meant is that with so many Jews working at all levels, including the highest echelons, of every federal agency and department, Pollard must be dealt with so harshly and so abusively as to deter any other Jew with sympathy for Israel from repeating what Pollard did.

If Pollard's incomparably harsh sentence is allowed to continue, all but the most naive will have to confront the real possibility that he is still in prison only because he is a Jew.